=====
The following is a DFT calculation (PBE) of a relaxed Ca5H4N crystal.

Output
SG = I4/m, No. 87
Raw total energy = -3.6423 eV/atom
Crystal system = tetragonal

POSCAR file:
```
Ca5H4N
1.0
-4.432 4.432 2.332
4.432 -4.432 2.332
4.432 4.432 -2.332
Ca H N
5 4 1
direct
0.000 0.000 0.000 Ca
0.232 0.580 0.812 Ca
0.420 0.232 0.652 Ca
0.580 0.768 0.348 Ca
0.768 0.420 0.188 Ca
0.163 0.211 0.374 H
0.211 0.837 0.048 H
0.789 0.163 0.952 H
0.837 0.789 0.626 H
0.500 0.500 0.000 N
```



The following is a DFT calculation (PBE) of a relaxed Mg2Sc3Pd3 crystal.

Output
SG = Immm, No. 71
Energy relative to the lowest polymorph listed for this composition = 39.5 meV/atom
Raw total energy = -5.3763 eV/atom
Formation enthalpy at 0 K = -0.66 eV/atom
Crystal system = orthorhombic

POSCAR file:
```
Mg2Sc3Pd3
1.0
-1.629 2.384 9.879
1.629 -2.384 9.879
1.629 2.384 -9.879
Mg Sc Pd
2 3 3
direct
0.229 0.229 0.000 Mg
0.771 0.771 0.000 Mg
0.000 0.000 0.000 Sc
0.382 0.882 0.500 Sc
0.618 0.118 0.500 Sc
0.115 0.615 0.500 Pd
0.500 0.500 0.000 Pd
0.885 0.385 0.500 Pd
```



The following is a DFT calculation (PBE) of a relaxed PrMgTi2O6 crystal.

Output
SG = Pmn2_1, No. 31
ΔE_f (raw) = -2.99 eV per atom
Raw total energy = -8.1861 eV/atom
Crystal system = orthorhombic

POSCAR file:
```
PrMgTi2O6
1.0
7.698 0.000 0.000
0.000 5.540 0.000
0.000 0.000 5.356
Pr Mg Ti O
2 2 4 12
direct
0.000 0.199 0.000 Pr
0.500 0.801 0.500 Pr
0.000 0.699 0.471 Mg
0.500 0.301 0.971 Mg
0.249 0.744 0.991 Ti
0.251 0.256 0.491 Ti
0.749 0.256 0.491 Ti
0.751 0.744 0.991 Ti
0.000 0.295 0.570 O
0.000 0.772 0.861 O
0.192 0.943 0.302 O
0.197 0.468 0.205 O
0.303 0.532 0.705 O
0.308 0.057 0.802 O
0.500 0.228 0.361 O
0.500 0.705 0.070 O
0.692 0.057 0.802 O
0.697 0.532 0.705 O
0.803 0.468 0.205 O
0.808 0.943 0.302 O
```

----------

1.
Computed, not measured: crystalline Li2ErAlSn2 at its relaxed geometry at the PBE level of DFT. Values from VASP.

Calculated values
The energy of formation comes out at -423 meV/atom. For the total energy, the calculation gives -0.1389 hartree per atom. Its density of states at the Fermi level is 1.95 states/eV/cell. The space-group type is Pmc2_1. Its crystal system is orthorhombic.

```
&SYSTEM
  ibrav = 0, nat = 12, ntyp = 4
/
ATOMIC_SPECIES
Li 6.94 Li.upf
Sn 118.71 Sn.upf
Al 26.98 Al.upf
Er 167.26 Er.upf
ATOMIC_POSITIONS angstrom
Li -0.619 0.097 2.230
Li -2.442 -1.637 0.051
Li -5.691 -7.345 1.436
Li -3.787 -6.973 4.141
Sn -5.239 -1.843 -0.512
Sn -1.353 -6.941 2.278
Sn -5.647 -5.036 2.993
Sn -2.224 -2.286 2.752
Al -1.299 -4.725 3.873
Al -5.022 -2.397 2.153
Er -3.205 -4.790 1.052
Er -6.811 -4.435 0.094
CELL_PARAMETERS angstrom
-0.925 1.507 4.043
-7.116 -0.917 -1.287
0.464 -7.874 3.042
```

=====

2.
Computed, not measured: crystalline SrLiErAl at its relaxed geometry at the PBE level of DFT. Values from VASP.

Calculated values
The energy of formation comes out at -48 meV/atom. For the total energy, the calculation gives -0.1111 hartree per atom. Its density of states at the Fermi level is 3.51 states/eV/cell. The space-group type is F-43m. Its crystal system is cubic.

```
&SYSTEM
  ibrav = 0, nat = 4, ntyp = 4
/
ATOMIC_SPECIES
Sr 87.62 Sr.upf
Al 26.98 Al.upf
Er 167.26 Er.upf
Li 6.94 Li.upf
ATOMIC_POSITIONS angstrom
Sr 0.000 0.000 0.000
Al -2.923 -3.257 -8.877
Er -1.949 -2.171 -5.918
Li -0.974 -1.086 -2.959
CELL_PARAMETERS angstrom
-1.117 1.448 -5.068
1.179 -3.323 -4.073
-3.959 -2.467 -2.696
```

=====

3.
Computed, not measured: crystalline LiTbErAl at its relaxed geometry at the PBE level of DFT. Values from VASP.

Calculated values
The energy of formation comes out at -210 meV/atom. For the total energy, the calculation gives -0.1441 hartree per atom. Its density of states at the Fermi level is 3.72 states/eV/cell. The space-group type is F-43m. Its crystal system is cubic.

```
&SYSTEM
  ibrav = 0, nat = 4, ntyp = 4
/
ATOMIC_SPECIES
Li 6.94 Li.upf
Al 26.98 Al.upf
Er 167.26 Er.upf
Tb 158.93 Tb.upf
ATOMIC_POSITIONS angstrom
Li -8.726 1.861 -3.091
=====

Now retype all of the material above exactly.

The following is a DFT calculation (PBE) of a relaxed Ca5H4N crystal.

Output
SG = I4/m, No. 87
Raw total energy = -3.6423 eV/atom
Crystal system = tetragonal

POSCAR file:
```
Ca5H4N
1.0
-4.432 4.432 2.332
4.432 -4.432 2.332
4.432 4.432 -2.332
Ca H N
5 4 1
direct
0.000 0.000 0.000 Ca
0.232 0.580 0.812 Ca
0.420 0.232 0.652 Ca
0.580 0.768 0.348 Ca
0.768 0.420 0.188 Ca
0.163 0.211 0.374 H
0.211 0.837 0.048 H
0.789 0.163 0.952 H
0.837 0.789 0.626 H
0.500 0.500 0.000 N
```



The following is a DFT calculation (PBE) of a relaxed Mg2Sc3Pd3 crystal.

Output
SG = Immm, No. 71
Energy relative to the lowest polymorph listed for this composition = 39.5 meV/atom
Raw total energy = -5.3763 eV/atom
Formation enthalpy at 0 K = -0.66 eV/atom
Crystal system = orthorhombic

POSCAR file:
```
Mg2Sc3Pd3
1.0
-1.629 2.384 9.879
1.629 -2.384 9.879
1.629 2.384 -9.879
Mg Sc Pd
2 3 3
direct
0.229 0.229 0.000 Mg
0.771 0.771 0.000 Mg
0.000 0.000 0.000 Sc
0.382 0.882 0.500 Sc
0.618 0.118 0.500 Sc
0.115 0.615 0.500 Pd
0.500 0.500 0.000 Pd
0.885 0.385 0.500 Pd
```



The following is a DFT calculation (PBE) of a relaxed PrMgTi2O6 crystal.

Output
SG = Pmn2_1, No. 31
ΔE_f (raw) = -2.99 eV per atom
Raw total energy = -8.1861 eV/atom
Crystal system = orthorhombic

POSCAR file:
```
PrMgTi2O6
1.0
7.698 0.000 0.000
0.000 5.540 0.000
0.000 0.000 5.356
Pr Mg Ti O
2 2 4 12
direct
0.000 0.199 0.000 Pr
0.500 0.801 0.500 Pr
0.000 0.699 0.471 Mg
0.500 0.301 0.971 Mg
0.249 0.744 0.991 Ti
0.251 0.256 0.491 Ti
0.749 0.256 0.491 Ti
0.751 0.744 0.991 Ti
0.000 0.295 0.570 O
0.000 0.772 0.861 O
0.192 0.943 0.302 O
0.197 0.468 0.205 O
0.303 0.532 0.705 O
0.308 0.057 0.802 O
0.500 0.228 0.361 O
0.500 0.705 0.070 O
0.692 0.057 0.802 O
0.697 0.532 0.705 O
0.803 0.468 0.205 O
0.808 0.943 0.302 O
```

----------

1.
Computed, not measured: crystalline Li2ErAlSn2 at its relaxed geometry at the PBE level of DFT. Values from VASP.

Calculated values
The energy of formation comes out at -423 meV/atom. For the total energy, the calculation gives -0.1389 hartree per atom. Its density of states at the Fermi level is 1.95 states/eV/cell. The space-group type is Pmc2_1. Its crystal system is orthorhombic.

```
&SYSTEM
  ibrav = 0, nat = 12, ntyp = 4
/
ATOMIC_SPECIES
Li 6.94 Li.upf
Sn 118.71 Sn.upf
Al 26.98 Al.upf
Er 167.26 Er.upf
ATOMIC_POSITIONS angstrom
Li -0.619 0.097 2.230
Li -2.442 -1.637 0.051
Li -5.691 -7.345 1.436
Li -3.787 -6.973 4.141
Sn -5.239 -1.843 -0.512
Sn -1.353 -6.941 2.278
Sn -5.647 -5.036 2.993
Sn -2.224 -2.286 2.752
Al -1.299 -4.725 3.873
Al -5.022 -2.397 2.153
Er -3.205 -4.790 1.052
Er -6.811 -4.435 0.094
CELL_PARAMETERS angstrom
-0.925 1.507 4.043
-7.116 -0.917 -1.287
0.464 -7.874 3.042
```

=====

2.
Computed, not measured: crystalline SrLiErAl at its relaxed geometry at the PBE level of DFT. Values from VASP.

Calculated values
The energy of formation comes out at -48 meV/atom. For the total energy, the calculation gives -0.1111 hartree per atom. Its density of states at the Fermi level is 3.51 states/eV/cell. The space-group type is F-43m. Its crystal system is cubic.

```
&SYSTEM
  ibrav = 0, nat = 4, ntyp = 4
/
ATOMIC_SPECIES
Sr 87.62 Sr.upf
Al 26.98 Al.upf
Er 167.26 Er.upf
Li 6.94 Li.upf
ATOMIC_POSITIONS angstrom
Sr 0.000 0.000 0.000
Al -2.923 -3.257 -8.877
Er -1.949 -2.171 -5.918
Li -0.974 -1.086 -2.959
CELL_PARAMETERS angstrom
-1.117 1.448 -5.068
1.179 -3.323 -4.073
-3.959 -2.467 -2.696
```

=====

3.
Computed, not measured: crystalline LiTbErAl at its relaxed geometry at the PBE level of DFT. Values from VASP.

Calculated values
The energy of formation comes out at -210 meV/atom. For the total energy, the calculation gives -0.1441 hartree per atom. Its density of states at the Fermi level is 3.72 states/eV/cell. The space-group type is F-43m. Its crystal system is cubic.

```
&SYSTEM
  ibrav = 0, nat = 4, ntyp = 4
/
ATOMIC_SPECIES
Li 6.94 Li.upf
Al 26.98 Al.upf
Er 167.26 Er.upf
Tb 158.93 Tb.upf
ATOMIC_POSITIONS angstrom
Li -8.726 1.861 -3.091